lucy pevensie

What is that phrase the kids are using nowadays? “I enjoy your thoughts and I’d like to subscribe to your newsletter”?

Someone I follow on Twitter said “at least punk music will be good again”. Excuse me but I’d much rather have my civil rights instead of another Green Day protest album.

There are a large number of liberal/moderate churches out there. Being a Christian doesn’t mean being conservative.

I am hard pressed to think of any mental health issue (especially those referenced here by Manning herself—depression, anxiety) that would not be made worse by incarceration. That is a problem much bigger than Manning; it’s much more complicated than pardoning one prisoner. I agree with you, in many ways. However,

Let’s discuss better treatment for prisoners, better mental health support...but this is framed as though having a mental health issue in and of itself should qualify someone for release.

This morning I was reading about the protests across the country and those that are being organized. Some of the protest leaders admitted they voted third party or not at all. I was thinking, should we stage a mini-protest within a protest against you!? I still can’t face a couple of friends who were rabidly against

[Between two parts of the piece: crystal structures]
+++
(1)
Density functional theory data (GGA-PBE) for a relaxed BiB4H3O9 crystal.

Cell lengths 4.359, 8.707, 10.692 Å; angles 111.70, 96.81, 90.37 degrees
Positions (direct):
Bi 0.000 0.000 0.000
Bi 0.256 0.628 0.070
B 0.121 0.413 0.274
B 0.134 0.217 0.796
B 0.248 0.104 0.555
B 0.411 0.958 0.702
B 0.588 0.260 0.170
B 0.670 0.370 0.900
B 0.865 0.680 0.373
B 0.994 0.521 0.514
H 0.039 0.405 0.645
H 0.167 0.210 0.419
H 0.285 0.701 0.832
H 0.604 0.874 0.427
H 0.684 0.768 0.651
H 0.937 0.912 0.233
O 0.025 0.577 0.275
O 0.112 0.403 0.409
O 0.126 0.222 0.659
O 0.228 0.104 0.426
O 0.241 0.056 0.798
O 0.268 0.760 0.928
O 0.347 0.355 0.893
O 0.405 0.974 0.576
O 0.433 0.395 0.237
O 0.470 0.102 0.093
O 0.577 0.836 0.728
O 0.708 0.805 0.350
O 0.789 0.527 0.977
O 0.826 0.233 0.836
O 0.870 0.662 0.498
O 0.909 0.278 0.172
O 0.984 0.513 0.638
O 0.990 0.866 0.141

Properties
V ... 187 Å³/f.u.
Symmetry ... No. 1
Energy relative to the elements ... -219.82 kJ/mol of atoms
MP2020-corrected energy ... -7.297 eV per atom

=====

(2)
Density functional theory data (GGA-PBE) for a relaxed Li3BiB8O15 crystal.

Cell lengths 9.625, 11.988, 11.707 Å; angles 90.00, 90.62, 90.00 degrees
Positions (direct):
Li 0.002 0.232 0.181
Li 0.002 0.268 0.681
Li 0.396 0.695 0.041
Li 0.396 0.805 0.541
Li 0.427 0.068 0.096
Li 0.427 0.432 0.596
Li 0.573 0.568 0.404
Li 0.573 0.932 0.904
Li 0.604 0.195 0.459
Li 0.604 0.305 0.959
Li 0.998 0.732 0.319
Li 0.998 0.768 0.819
Bi 0.248 0.144 0.458
Bi 0.248 0.356 0.958
Bi 0.752 0.644 0.042
Bi 0.752 0.856 0.542
B 0.035 0.720 0.605
B 0.035 0.780 0.105
B 0.173 0.604 0.476
B 0.173 0.896 0.976
B 0.238 0.616 0.678
B 0.238 0.884 0.178
B 0.253 0.139 0.713
B 0.253 0.361 0.213
B 0.313 0.592 0.874
B 0.313 0.908 0.374
B 0.322 0.535 0.309
B 0.322 0.965 0.809
B 0.369 0.734 0.273
B 0.369 0.766 0.773
B 0.387 0.149 0.892
B 0.387 0.351 0.392
B 0.613 0.649 0.608
B 0.613 0.851 0.108
B 0.631 0.234 0.227
B 0.631 0.266 0.727
B 0.678 0.035 0.191
B 0.678 0.465 0.691
B 0.687 0.092 0.626
B 0.687 0.408 0.126
B 0.747 0.639 0.787
B 0.747 0.861 0.287
B 0.762 0.116 0.822
B 0.762 0.384 0.322
B 0.827 0.104 0.024
B 0.827 0.396 0.524
B 0.965 0.220 0.895
B 0.965 0.280 0.395
O 0.054 0.197 0.371
O 0.054 0.303 0.871
O 0.065 0.683 0.494
O 0.065 0.817 0.994
O 0.101 0.670 0.697
O 0.101 0.830 0.197
O 0.178 0.194 0.629
O 0.178 0.306 0.129
O 0.197 0.582 0.365
O 0.197 0.918 0.865
O 0.243 0.558 0.568
O 0.243 0.942 0.068
O 0.273 0.028 0.711
O 0.273 0.472 0.211
O 0.273 0.542 0.773
O 0.273 0.958 0.273
O 0.316 0.203 0.801
O 0.316 0.297 0.301
O 0.324 0.542 0.976
O 0.324 0.958 0.476
O 0.342 0.712 0.672
O 0.342 0.788 0.172
O 0.348 0.707 0.874
O 0.348 0.793 0.374
O 0.408 0.036 0.889
O 0.408 0.464 0.389
O 0.417 0.212 0.985
O 0.417 0.288 0.485
O 0.418 0.627 0.276
O 0.418 0.873 0.776
O 0.582 0.127 0.224
O 0.582 0.373 0.724
O 0.583 0.712 0.515
O 0.583 0.788 0.015
O 0.592 0.536 0.611
O 0.592 0.964 0.111
O 0.652 0.207 0.626
O 0.652 0.293 0.126
O 0.658 0.212 0.828
O 0.658 0.288 0.328
O 0.676 0.042 0.524
+++
[Back to the piece]

I am not going to pretzel my brain trying to convince people who thought one of the most liberal democrats was basically an evil Republican with a hit list of anything.

p.s. looking forward to gleefully dismissing any motherfucker who decides now would be a good time to gloat/lecture me for several paragraphs about why Hillary Clinton is worse than Satan/make fun of me for being sad. today is not the day y’all.

I live in a blue state and am not on speaking terms with two coworkers who wrote in Bernie.

Are liberals who voted for Clinton letting their fellow liberals off the hook for staying home and voting third party?

This is the section of the song that killed me:

No, we’re not.

On election day this week, I found out that I got an interview with Boeing for a paid internship this summer. I was elated. It is literally the path to my dream job. I was prepared to get smashingly drunk that night to celebrate getting an interview opportunity and seeing the first woman President. We bought champagne

I know I am not the only one who has spent the last 4 days blindingly drunk, but I actually called into work today just to specifically get crap housed again. I am a chef at a country club and I don’t know if I can make food for a bunch of Trump supporters anymore. I seriously don’t know if I can do it anymore.

I went to work yesterday and had seemingly accepted the fact that “this is the way the system works, it worked, it sucks VERY HARD, we’ll just have to see what happens in about 2 months.”

Can I take a wild stab here? Are you a white dude? I mean, so am I, there’s no shame in it.

It has always been there.

Talking to people. Realizing that despite the awful showing Tuesday night, there’s still a whole lot of us who still believe in basic human decency. So that’s nice to know. I’m also starting to embrace the absurdity of it all. How’s everyone doing on day 2 AT?!

The women in my life are terrified. They know what the past was like, and where this administration has stated they have a mandate to take us back to. They’re terrified. This is a really, really bad day

OK, but that doesn’t really answer the question of how you’re keeping it together. Lots of people woke up, ate breakfast, and went to fucking work, but did it with a ball of fear in the pit of their stomach. If you aren’t terrified of Trump enacting the policies the campaigned on because they won’t really affect you,